Listing >
## SnGe3Br8 (PBE-GGA)

Data for a relaxed structure of SnGe3Br8.

Cell lengths 8.295, 8.293, 8.651 Å; angles 119.42, 90.00, 120.01 degrees
Positions (direct):
Br 0.747 0.493 0.771
Br 0.253 0.507 0.229
Br 0.253 0.982 0.230
Br 0.271 0.018 0.770
Br 0.747 0.018 0.770
Br 0.729 0.982 0.230
Br 0.742 0.485 0.222
Br 0.258 0.515 0.778
Ge 0.000 0.500 0.000
Ge 0.500 0.000 0.000
Ge 0.500 0.500 0.000
Sn 0.000 0.000 0.000

The calculation puts the total magnetization at 0.00 Bohr magnetons per cell. The value obtained for the raw formation energy is -0.602 eV per atom. For the electronic total energy, the calculation gives -3.21 eV/atom.

***

## Sn3Ge5Br16 (PBE-GGA)

Data for a relaxed structure of Sn3Ge5Br16.

Cell lengths 8.689, 8.689, 13.413 Å; angles 89.62, 89.62, 57.71 degrees
Positions (direct):
Sn 0.668 0.166 0.291
Sn 0.823 0.823 0.791
Sn 0.166 0.668 0.291
Br 0.841 0.841 0.415
Br 0.651 0.171 0.910
Br 0.343 0.814 0.412
Br 0.481 0.481 0.134
Br 0.515 0.515 0.648
Br 0.476 0.019 0.167
Br 0.021 0.021 0.666
Br 0.340 0.340 0.411
Br 0.171 0.651 0.910
Br 0.019 0.476 0.167
Br 0.482 0.982 0.665
Br 0.672 0.672 0.906
Br 0.028 0.028 0.165
Br 0.159 0.159 0.895
Br 0.982 0.482 0.665
Br 0.814 0.343 0.412
Ge 0.328 0.857 0.779
Ge 0.344 0.344 0.014
Ge 0.857 0.328 0.779
Ge 0.643 0.643 0.520
Ge 0.175 0.175 0.272

The calculation puts the total magnetization at 0.00 Bohr magnetons per cell. The value obtained for the raw formation energy is -0.624 eV per atom. For the electronic total energy, the calculation gives -3.20 eV/atom.

***

## SnGeBr5 (PBE-GGA)

Data for a relaxed structure of SnGeBr5.

Cell lengths 5.863, 9.487, 7.593 Å; angles 128.66, 112.71, 90.00 degrees
Positions (direct):
Sn 0.167 0.000 0.000
Br 0.490 0.197 0.000
Br 0.730 0.759 0.519
Br 0.926 0.500 0.000
Br 0.211 0.241 0.481
Br 0.490 0.803 0.000
Ge 0.517 0.500 0.000

The calculation puts the total magnetization at 0.00 Bohr magnetons per cell. The value obtained for the raw formation energy is -0.537 eV per atom. For the electronic total energy, the calculation gives -2.96 eV/atom.

***

## Sn2GeBr2 (PBE-GGA)

Data for a relaxed structure of Sn2GeBr2.

Cell lengths 4.117, 4.117, 9.503 Å; angles 77.49, 77.49, 90.00 degrees
Positions (direct):
Ge 0.000 0.000 0.000
Sn 0.750 0.250 0.500
Sn 0.250 0.750 0.500
Br 0.408 0.408 0.185
Br 0.592 0.592 0.815

The calculation puts the total magnetization at 0.00 Bohr magnetons per cell. The value obtained for the raw formation energy is 0.172 eV per atom. For the electronic total energy, the calculation gives -3.02 eV/atom. For the energy above the most stable polymorph in this dataset, the calculation gives 42.8 meV per atom.

***

## Sn5GeBr12 (PBE-GGA)

Data for a relaxed structure of Sn5GeBr12.

Cell lengths 7.491, 7.506, 14.128 Å; angles 89.99, 89.97, 60.07 degrees
Positions (direct):
Sn 0.833 0.333 0.500
Sn 0.667 0.667 0.000
Sn 0.333 0.333 0.000
Sn 0.500 0.000 0.500
Sn 0.167 0.667 0.500
Ge 0.000 0.000 0.000
Br 0.684 0.000 0.886
Br 0.834 0.000 0.380
Br 0.000 0.684 0.114
Br 0.000 0.316 0.886
Br 0.684 0.316 0.114
Br 0.500 0.667 0.380
Br 0.166 0.000 0.620
Br 0.167 0.333 0.380
Br 0.316 0.684 0.886
Br 0.500 0.333 0.620
Br 0.833 0.667 0.620
Br 0.316 0.000 0.114

The calculation puts the total magnetization at 0.00 Bohr magnetons per cell. The value obtained for the raw formation energy is -0.721 eV per atom. For the electronic total energy, the calculation gives -3.20 eV/atom.

***

## Sn2GeBr2 (PBE-GGA)

Data for a relaxed structure of Sn2GeBr2.

Cell lengths 9.259, 9.259, 3.398 Å; angles 90.00, 90.00, 90.00 degrees
Positions (direct):
Br 0.378 0.878 0.000
Br 0.878 0.622 0.000
Br 0.622 0.122 0.000
Br 0.122 0.378 0.000
Sn 0.201 0.701 0.500
Sn 0.799 0.299 0.500
Sn 0.701 0.799 0.500
Sn 0.299 0.201 0.500
Ge 0.500 0.500 0.000
Ge 0.000 0.000 0.000

Work order >
Now echo the whole of the listing above without additions.

Worked solution >
## SnGe3Br8 (PBE-GGA)

Data for a relaxed structure of SnGe3Br8.

Cell lengths 8.295, 8.293, 8.651 Å; angles 119.42, 90.00, 120.01 degrees
Positions (direct):
Br 0.747 0.493 0.771
Br 0.253 0.507 0.229
Br 0.253 0.982 0.230
Br 0.271 0.018 0.770
Br 0.747 0.018 0.770
Br 0.729 0.982 0.230
Br 0.742 0.485 0.222
Br 0.258 0.515 0.778
Ge 0.000 0.500 0.000
Ge 0.500 0.000 0.000
Ge 0.500 0.500 0.000
Sn 0.000 0.000 0.000

The calculation puts the total magnetization at 0.00 Bohr magnetons per cell. The value obtained for the raw formation energy is -0.602 eV per atom. For the electronic total energy, the calculation gives -3.21 eV/atom.

***

## Sn3Ge5Br16 (PBE-GGA)

Data for a relaxed structure of Sn3Ge5Br16.

Cell lengths 8.689, 8.689, 13.413 Å; angles 89.62, 89.62, 57.71 degrees
Positions (direct):
Sn 0.668 0.166 0.291
Sn 0.823 0.823 0.791
Sn 0.166 0.668 0.291
Br 0.841 0.841 0.415
Br 0.651 0.171 0.910
Br 0.343 0.814 0.412
Br 0.481 0.481 0.134
Br 0.515 0.515 0.648
Br 0.476 0.019 0.167
Br 0.021 0.021 0.666
Br 0.340 0.340 0.411
Br 0.171 0.651 0.910
Br 0.019 0.476 0.167
Br 0.482 0.982 0.665
Br 0.672 0.672 0.906
Br 0.028 0.028 0.165
Br 0.159 0.159 0.895
Br 0.982 0.482 0.665
Br 0.814 0.343 0.412
Ge 0.328 0.857 0.779
Ge 0.344 0.344 0.014
Ge 0.857 0.328 0.779
Ge 0.643 0.643 0.520
Ge 0.175 0.175 0.272

The calculation puts the total magnetization at 0.00 Bohr magnetons per cell. The value obtained for the raw formation energy is -0.624 eV per atom. For the electronic total energy, the calculation gives -3.20 eV/atom.

***

## SnGeBr5 (PBE-GGA)

Data for a relaxed structure of SnGeBr5.

Cell lengths 5.863, 9.487, 7.593 Å; angles 128.66, 112.71, 90.00 degrees
Positions (direct):
Sn 0.167 0.000 0.000
Br 0.490 0.197 0.000
Br 0.730 0.759 0.519
Br 0.926 0.500 0.000
Br 0.211 0.241 0.481
Br 0.490 0.803 0.000
Ge 0.517 0.500 0.000

The calculation puts the total magnetization at 0.00 Bohr magnetons per cell. The value obtained for the raw formation energy is -0.537 eV per atom. For the electronic total energy, the calculation gives -2.96 eV/atom.

***

## Sn2GeBr2 (PBE-GGA)

Data for a relaxed structure of Sn2GeBr2.

Cell lengths 4.117, 4.117, 9.503 Å; angles 77.49, 77.49, 90.00 degrees
Positions (direct):
Ge 0.000 0.000 0.000
Sn 0.750 0.250 0.500
Sn 0.250 0.750 0.500
Br 0.408 0.408 0.185
Br 0.592 0.592 0.815

The calculation puts the total magnetization at 0.00 Bohr magnetons per cell. The value obtained for the raw formation energy is 0.172 eV per atom. For the electronic total energy, the calculation gives -3.02 eV/atom. For the energy above the most stable polymorph in this dataset, the calculation gives 42.8 meV per atom.

***

## Sn5GeBr12 (PBE-GGA)

Data for a relaxed structure of Sn5GeBr12.

Cell lengths 7.491, 7.506, 14.128 Å; angles 89.99, 89.97, 60.07 degrees
Positions (direct):
Sn 0.833 0.333 0.500
Sn 0.667 0.667 0.000
Sn 0.333 0.333 0.000
Sn 0.500 0.000 0.500
Sn 0.167 0.667 0.500
Ge 0.000 0.000 0.000
Br 0.684 0.000 0.886
Br 0.834 0.000 0.380
Br 0.000 0.684 0.114
Br 0.000 0.316 0.886
Br 0.684 0.316 0.114
Br 0.500 0.667 0.380
Br 0.166 0.000 0.620
Br 0.167 0.333 0.380
Br 0.316 0.684 0.886
Br 0.500 0.333 0.620
Br 0.833 0.667 0.620
Br 0.316 0.000 0.114

The calculation puts the total magnetization at 0.00 Bohr magnetons per cell. The value obtained for the raw formation energy is -0.721 eV per atom. For the electronic total energy, the calculation gives -3.20 eV/atom.

***

## Sn2GeBr2 (PBE-GGA)

Data for a relaxed structure of Sn2GeBr2.

Cell lengths 9.259, 9.259, 3.398 Å; angles 90.00, 90.00, 90.00 degrees
Positions (direct):
Br 0.378 0.878 0.000
Br 0.878 0.622 0.000
Br 0.622 0.122 0.000
Br 0.122 0.378 0.000
Sn 0.201 0.701 0.500
Sn 0.799 0.299 0.500
Sn 0.701 0.799 0.500
Sn 0.299 0.201 0.500
Ge 0.500 0.500 0.000
Ge 0.000 0.000 0.000